-- Brief --
Next, type out the listing underneath without additions.
-- Contents --
=====
[1]
71
Properties=species:S:1:pos:R:3:forces:R:3 method="wB97M-V/def2-TZVPD" orbital_gap_ha="0.0957 / 0.0914" de_lowest_kcal_mol=21.55 e_tot_ha=-3474.37577 homo_energy_ev="-4.752 / -4.633" spin_multiplicity=2
O -3.513562 -0.787537 2.268317 -2.0 -4.0 -3.4
H -3.841035 -1.758566 2.360577 0.5 2.3 0.8
Cu -0.960803 -0.050802 0.717648 -1.3 0.7 -3.1
N 0.376354 -0.813522 -0.561596 -0.2 -2.0 -2.8
N -2.092978 -1.192321 -0.604942 -1.4 -1.3 -3.5
O 1.702471 -0.531952 -0.572925 1.8 0.9 0.7
O -3.382594 -1.206240 -0.874157 1.0 0.4 2.1
C 0.016693 -1.717370 -1.466625 0.5 1.4 1.7
C -1.377142 -1.842317 -1.579090 -2.2 0.6 2.6
C 0.938965 -2.516236 -2.312333 0.3 0.0 -0.1
C -2.128446 -2.737690 -2.483039 0.1 -0.4 -0.8
H 1.941773 -2.464625 -1.885885 0.0 -0.1 -0.2
H 0.941141 -2.099775 -3.331546 0.1 -0.2 0.2
H 0.598577 -3.564286 -2.366035 0.1 0.4 0.0
H -3.210655 -2.546383 -2.424683 0.7 0.1 0.0
H -1.947494 -3.787468 -2.216766 0.0 0.0 -0.1
H -1.780796 -2.595259 -3.505451 -0.1 -0.2 -0.3
H 1.696143 0.324585 -0.050765 0.2 -1.2 -0.6
H -3.437681 -0.999241 1.228468 0.0 1.8 2.2
O -0.468552 1.603919 -2.353807 0.8 0.9 -0.8
H 0.228074 2.093614 -2.852823 -0.8 -0.6 0.6
H -1.210886 2.236512 -2.294435 0.0 -0.2 0.1
C -0.922828 -0.687502 2.343634 -0.3 -2.1 4.8
H -0.731620 0.360909 2.681054 0.8 -0.6 0.0
H -0.145523 -1.424871 1.931877 -0.4 1.0 1.4
H -1.646144 -1.085080 3.168579 1.6 0.3 -2.0
O 2.948765 -1.734723 3.359174 -0.3 -0.3 0.3
H 2.670957 -2.629513 3.103265 0.1 0.5 0.0
H 2.203711 -1.404789 3.887271 0.2 -0.1 -0.4
F 5.162546 2.795869 2.626850 -0.3 0.5 -0.2
C 4.132471 3.469571 2.012223 0.0 -0.3 0.2
C 3.050527 2.718796 1.613535 -0.3 0.7 -0.2
C 1.935589 3.366838 1.047556 0.8 0.7 0.0
C 0.744495 2.638824 0.671908 -0.5 -2.7 -0.1
O 0.733083 1.370868 0.673514 0.9 3.2 0.7
C -0.403755 3.394054 0.299175 0.0 1.1 -0.2
C -0.263846 4.734605 0.030200 0.2 -1.3 0.2
N 0.923576 5.400246 0.164880 0.5 -1.7 1.3
C 1.037607 6.701635 -0.355805 -0.1 1.2 -0.4
C 0.194353 7.077263 -1.539207 0.2 0.0 -0.6
C -0.115822 7.643330 -0.196306 -0.1 0.7 0.5
C 1.984914 4.762709 0.831136 -0.5 0.4 -0.4
C 3.081117 5.509194 1.278347 0.9 -0.5 0.3
C 4.183257 4.876185 1.887580 -1.1 -0.6 -0.4
N 5.234232 5.658354 2.394520 0.4 0.8 -0.2
C 4.862372 6.772261 3.252000 -0.2 -0.4 0.0
C 5.863941 7.905524 3.133105 -0.8 -0.1 -0.4
N 7.199143 7.324139 3.370755 1.0 0.5 0.7
C 7.598442 6.204728 2.494556 -0.3 -0.8 -0.7
C 6.549952 5.110714 2.664279 -0.4 -0.2 -0.1
C -1.711792 2.706454 -0.045071 -1.5 -1.1 0.0
O -2.344951 3.239203 -0.985802 0.4 0.1 0.4
O -2.052098 1.669168 0.608310 0.5 2.0 -0.6
H 3.027021 1.642106 1.745330 0.0 0.1 0.1
H -1.098314 5.311419 -0.357394 0.1 -0.4 0.0
H 2.036283 7.132345 -0.326312 -0.3 -0.3 0.0
H 0.664973 7.748030 -2.256171 -0.2 -0.3 0.0
H -0.485811 6.326789 -1.947229 0.3 0.3 0.0
H -1.006193 7.272183 0.318092 0.4 0.3 -0.1
H 0.148177 8.688083 -0.032358 -0.3 -0.2 0.1
H 3.092108 6.593379 1.174458 0.0 -0.4 0.0
H 4.809244 6.436006 4.309408 0.0 0.2 -0.1
H 3.865751 7.122866 2.968930 0.3 0.0 0.2
H 5.881616 8.351875 2.138855 -0.1 -0.1 0.0
H 5.681169 8.679833 3.878800 0.1 0.0 0.0
H 7.908343 8.054247 3.312090 0.0 0.0 0.3
H 7.186856 6.940171 4.315464 0.2 0.2 0.3
H 8.587967 5.849016 2.792609 -0.1 0.2 0.1
H 7.637812 6.587512 1.472404 -0.1 -0.1 0.1
H 6.593173 4.718629 3.701313 0.2 -0.1 -0.3
H 6.758487 4.294681 1.962601 0.0 0.2 0.3


[2]
63
Properties=species:S:1:pos:R:3:forces:R:3 method="wB97M-V/def2-TZVPD" total_charge=+2 orbital_gap_ha="0.1870 / 0.2026" e_tot_ha=-2943.58542 homo_energy_ev="-13.156 / -13.167" spin_multiplicity=3
V 0.429125 -0.925814 0.130680 -0.4 1.3 0.7
C 0.373746 -3.188348 1.773140 -0.3 0.0 0.9
C 1.338892 -2.356417 2.365997 0.7 -0.2 -0.7
C 2.350651 -1.806287 1.535487 0.1 0.1 -1.0
C 2.400502 -2.097880 0.123833 -0.9 -0.5 0.3
C 1.382360 -2.928536 -0.454375 0.0 -0.2 1.4
C 0.350819 -3.447621 0.397016 0.7 -0.2 -0.6
H -0.370314 -3.647891 2.453797 0.4 0.3 -0.7
H 1.339420 -2.172979 3.457464 0.0 -0.1 -0.9
H 3.116757 -1.130320 1.940471 -0.4 -0.4 -0.1
H 3.092650 -1.606784 -0.568707 0.1 -0.3 0.6
=====
-- Completed --
[1]
71
Properties=species:S:1:pos:R:3:forces:R:3 method="wB97M-V/def2-TZVPD" orbital_gap_ha="0.0957 / 0.0914" de_lowest_kcal_mol=21.55 e_tot_ha=-3474.37577 homo_energy_ev="-4.752 / -4.633" spin_multiplicity=2
O -3.513562 -0.787537 2.268317 -2.0 -4.0 -3.4
H -3.841035 -1.758566 2.360577 0.5 2.3 0.8
Cu -0.960803 -0.050802 0.717648 -1.3 0.7 -3.1
N 0.376354 -0.813522 -0.561596 -0.2 -2.0 -2.8
N -2.092978 -1.192321 -0.604942 -1.4 -1.3 -3.5
O 1.702471 -0.531952 -0.572925 1.8 0.9 0.7
O -3.382594 -1.206240 -0.874157 1.0 0.4 2.1
C 0.016693 -1.717370 -1.466625 0.5 1.4 1.7
C -1.377142 -1.842317 -1.579090 -2.2 0.6 2.6
C 0.938965 -2.516236 -2.312333 0.3 0.0 -0.1
C -2.128446 -2.737690 -2.483039 0.1 -0.4 -0.8
H 1.941773 -2.464625 -1.885885 0.0 -0.1 -0.2
H 0.941141 -2.099775 -3.331546 0.1 -0.2 0.2
H 0.598577 -3.564286 -2.366035 0.1 0.4 0.0
H -3.210655 -2.546383 -2.424683 0.7 0.1 0.0
H -1.947494 -3.787468 -2.216766 0.0 0.0 -0.1
H -1.780796 -2.595259 -3.505451 -0.1 -0.2 -0.3
H 1.696143 0.324585 -0.050765 0.2 -1.2 -0.6
H -3.437681 -0.999241 1.228468 0.0 1.8 2.2
O -0.468552 1.603919 -2.353807 0.8 0.9 -0.8
H 0.228074 2.093614 -2.852823 -0.8 -0.6 0.6
H -1.210886 2.236512 -2.294435 0.0 -0.2 0.1
C -0.922828 -0.687502 2.343634 -0.3 -2.1 4.8
H -0.731620 0.360909 2.681054 0.8 -0.6 0.0
H -0.145523 -1.424871 1.931877 -0.4 1.0 1.4
H -1.646144 -1.085080 3.168579 1.6 0.3 -2.0
O 2.948765 -1.734723 3.359174 -0.3 -0.3 0.3
H 2.670957 -2.629513 3.103265 0.1 0.5 0.0
H 2.203711 -1.404789 3.887271 0.2 -0.1 -0.4
F 5.162546 2.795869 2.626850 -0.3 0.5 -0.2
C 4.132471 3.469571 2.012223 0.0 -0.3 0.2
C 3.050527 2.718796 1.613535 -0.3 0.7 -0.2
C 1.935589 3.366838 1.047556 0.8 0.7 0.0
C 0.744495 2.638824 0.671908 -0.5 -2.7 -0.1
O 0.733083 1.370868 0.673514 0.9 3.2 0.7
C -0.403755 3.394054 0.299175 0.0 1.1 -0.2
C -0.263846 4.734605 0.030200 0.2 -1.3 0.2
N 0.923576 5.400246 0.164880 0.5 -1.7 1.3
C 1.037607 6.701635 -0.355805 -0.1 1.2 -0.4
C 0.194353 7.077263 -1.539207 0.2 0.0 -0.6
C -0.115822 7.643330 -0.196306 -0.1 0.7 0.5
C 1.984914 4.762709 0.831136 -0.5 0.4 -0.4
C 3.081117 5.509194 1.278347 0.9 -0.5 0.3
C 4.183257 4.876185 1.887580 -1.1 -0.6 -0.4
N 5.234232 5.658354 2.394520 0.4 0.8 -0.2
C 4.862372 6.772261 3.252000 -0.2 -0.4 0.0
C 5.863941 7.905524 3.133105 -0.8 -0.1 -0.4
N 7.199143 7.324139 3.370755 1.0 0.5 0.7
C 7.598442 6.204728 2.494556 -0.3 -0.8 -0.7
C 6.549952 5.110714 2.664279 -0.4 -0.2 -0.1
C -1.711792 2.706454 -0.045071 -1.5 -1.1 0.0
O -2.344951 3.239203 -0.985802 0.4 0.1 0.4
O -2.052098 1.669168 0.608310 0.5 2.0 -0.6
H 3.027021 1.642106 1.745330 0.0 0.1 0.1
H -1.098314 5.311419 -0.357394 0.1 -0.4 0.0
H 2.036283 7.132345 -0.326312 -0.3 -0.3 0.0
H 0.664973 7.748030 -2.256171 -0.2 -0.3 0.0
H -0.485811 6.326789 -1.947229 0.3 0.3 0.0
H -1.006193 7.272183 0.318092 0.4 0.3 -0.1
H 0.148177 8.688083 -0.032358 -0.3 -0.2 0.1
H 3.092108 6.593379 1.174458 0.0 -0.4 0.0
H 4.809244 6.436006 4.309408 0.0 0.2 -0.1
H 3.865751 7.122866 2.968930 0.3 0.0 0.2
H 5.881616 8.351875 2.138855 -0.1 -0.1 0.0
H 5.681169 8.679833 3.878800 0.1 0.0 0.0
H 7.908343 8.054247 3.312090 0.0 0.0 0.3
H 7.186856 6.940171 4.315464 0.2 0.2 0.3
H 8.587967 5.849016 2.792609 -0.1 0.2 0.1
H 7.637812 6.587512 1.472404 -0.1 -0.1 0.1
H 6.593173 4.718629 3.701313 0.2 -0.1 -0.3
H 6.758487 4.294681 1.962601 0.0 0.2 0.3


[2]
63
Properties=species:S:1:pos:R:3:forces:R:3 method="wB97M-V/def2-TZVPD" total_charge=+2 orbital_gap_ha="0.1870 / 0.2026" e_tot_ha=-2943.58542 homo_energy_ev="-13.156 / -13.167" spin_multiplicity=3
V 0.429125 -0.925814 0.130680 -0.4 1.3 0.7
C 0.373746 -3.188348 1.773140 -0.3 0.0 0.9
C 1.338892 -2.356417 2.365997 0.7 -0.2 -0.7
C 2.350651 -1.806287 1.535487 0.1 0.1 -1.0
C 2.400502 -2.097880 0.123833 -0.9 -0.5 0.3
C 1.382360 -2.928536 -0.454375 0.0 -0.2 1.4
C 0.350819 -3.447621 0.397016 0.7 -0.2 -0.6
H -0.370314 -3.647891 2.453797 0.4 0.3 -0.7
H 1.339420 -2.172979 3.457464 0.0 -0.1 -0.9
H 3.116757 -1.130320 1.940471 -0.4 -0.4 -0.1
H 3.092650 -1.606784 -0.568707 0.1 -0.3 0.6